Covert Monitoring of Employees and the Right to Privacy under Article 8 ECHR: Can these two be reconciled?
Here the entry breaks off for data records >
14
Properties=species:S:1:pos:R:3:forces:R:3 method="wB97M-V/def2-TZVPD" e_lumo_ev=0.5 e_homo_ha=-0.30137
O 0.99179 -1.09724 -1.45425 0.03 0.08 -0.09
N -0.10411 -0.72371 0.54421 0.15 0.13 -0.31
C -1.30475 2.15497 0.98928 0.31 -0.08 -0.32
C 0.32426 -0.29985 -0.56865 -0.19 0.07 0.37
C -0.53373 1.85559 -0.05798 -0.15 -0.20 0.25
C 0.09935 -2.10520 0.91933 0.03 -0.21 0.07
C 0.11171 1.10705 -0.95764 -0.05 0.10 0.08
H -0.78408 2.65490 1.81755 -0.08 -0.02 -0.11
H -0.11843 -2.20631 1.98683 0.06 -0.04 -0.19
H 0.46830 1.51129 -1.89862 -0.09 -0.07 0.16
H 1.27848 -0.58016 -2.21769 -0.07 -0.08 0.13
H 1.12301 -2.45587 0.73324 -0.13 0.06 0.00
H -0.58355 -2.76999 0.37399 0.10 0.09 0.05
H -0.96824 2.95454 -0.20960 0.07 0.16 -0.08
Here the entry continues >
It is generally accepted that the monitoring of employees at work is intrusive.
Employees have a legitimate expectation that they can keep their personal lives private and that they are also entitled to a degree of privacy in their work environment. While there has been much said about the data privacy protections in the General Data Protection Regulation (GDPR), employees’ privacy has long had protection in the Irish Constitution and the European Convention on Human Rights (ECHR).
Two recent European Court of Human Rights decisions examine employers’ monitoring of employees in the context of the Article 8 right to a private life.
Ribalda & Ors v Spain (2018)
In this case, five applicants – supermarket cashiers accused of theft – argued that the covert video surveillance ordered by their employer without previously informing them had violated their right to privacy under Article 8 of the ECHR. The Court observed that although the employer had given the workers notice of the installation of visible cameras, other cameras had also been installed which were hidden, and the workers were not informed of those.
The Court took account of the following factors in reaching its decision:
- a number of people had seen the footage before the applicants, including their union representative and the employer’s lawyer;
- the workers had not been told of, or consented to, the covert surveillance of them; and
- the footage had been taken over a number of weeks, at all hours and had captured images of workers other than those suspected of theft.
The following passage from the judgment is of particular interest:
“Furthermore, in the present case and unlike in Köpke, the covert video surveillance did not follow a prior substantiated suspicion against the applicants and was consequently not aimed at them specifically, but at all the staff working on the cash registers, over weeks, without any time limit and during all working hours. In Köpke the surveillance measure was limited in time – it was carried out for two weeks – and only two employees were targeted by the measure. In the present case, however, the decision to adopt surveillance measures was based on a general suspicion against all staff in view of the irregularities which had previously been revealed by the shop manager.”
The Court concluded that the employer should have safeguarded its property (on the basis that it believed the applicants had been stealing from it) by other means which had less impact on the workers’ privacy, and should have notified the workers in advance of the installation of the surveillance systems. the Court believed that the Spanish courts had failed to strike a fair balance between the applicants’ rights to respect for their private lives and the employer’s interest in the protection of its property rights.
Libert v France (2018)
In this case, the applicant alleged that his employer had violated his right to privacy when it opened files on the hard disk of his computer without him being present. The applicant had been suspended and, on his reinstatement, discovered that his work computer had been seized. He was informed that the person who replaced him during his suspension had alerted his superiors to documents which caught his attention on the applicant’s work computer. The applicant was dismissed by reason of the items found on the computer.
As the applicant was employed by the State owned SNCF, he contended that there was interference with his right to privacy by a public body.
The Court considered whether the interference complained of had a legal basis and was satisfied that it had – at the material time, domestic law allowed the employer, within limits, to open files stored on an employee’s work computer.
The Court then considered whether the interference pursued a legitimate aim and found that it did not. The employer had argued it was necessary to open the files stored on the applicant’s computer for the legitimate aim of preventing a crime. However, this was not accepted by the Court as the opening of the files was not done in the context of criminal proceedings against the applicant. The Court did however acknowledge that the interference was intended to safeguard the protection of the “rights of others”, that is to say those of the employer, who might legitimately wish to ensure that employees are using the employer’s computer facilities placed at their disposal for the purpose of carrying out their duties.
Finally, the Court considered whether the interference with the right to privacy was necessary in a democratic society:
“The notion of necessity implies that the interference corresponds to a pressing social need and, in particular, that it is proportionate to the legitimate aim pursued…. the domestic courts had to ensure that the introduction by an employer of measures to monitor correspondence and other communications, irrespective of the extent and duration of such measures was accompanied by adequate and sufficient safeguards against abuse. It stressed, in this context that proportionality and procedural guarantees against arbitrariness were essential.
… French positive law contains provisions for the protection of private life. The principle is that, whilst the employer can open any professional files stored on the hard disks of the computers placed at the employees’ disposal for the purposes of their duties, it cannot surreptitiously open files identified as being personal “save in a case of serious risk or in exceptional circumstances”. It can only open such files in the presence of the employee concerned or after the latter has been duly called.”
The Court noted that the computer files in this case had not been clearly identified as personal. In the circumstances, the Court concluded that no breach of the right to privacy under Article 8 of the ECHR arose.
The principles used by the European Court of Human Rights in assessing the limits to the right to a private life under Article 8 are similar to the principles contained in the GDPR. These decisions make clear that the Court will place a heavy emphasis on the proportionality of measures used to monitor employees and whether such measures pursue a legitimate aim before it will find that no breach of the right to privacy under Article 8 of the ECHR has occurred.